5 Ways to Start Discerning More - and Arguing Less

diversity inclusion Feb 03, 2020

I think far too often, people are too quick to outrage. Yes, there are things we should  get angry about. Yes, there need to be amends when anyone is harmed physically, mentally, emotionally, or spiritually. 

However, sometimes people just say or do stupid things, and pointing out their mistake in a humiliating way or arguing to convince them they're wrong never works. I think we miss far too many opportunities to have conversations and understand other perspectives, which helps everyone learn. The truth is, we all just want to be understood.

Discernment is not an easy skill to learn. It takes time and patience and a desire to understand ourselves and others. It’s much easier to jump to conclusions based on our own experiences and assumptions.... but mastering discernment is key to building inclusion.

Here are just a few ideas that may help:

  1. Pay attention to your emotions. We learn our ideas of right/wrong and good/bad from the groups of people we belong to, and most of those ideas are ingrained in our brains by the time we’re 5 or 6 years old. When we encounter people who behave differently from us, we may feel frustrated or angry about their behavior. When we notice how we feel, we can begin to discern why we’re feeling what we’re feeling. What does their behavior represent? Is it really “wrong,” or is it just different from how we do things? Might they still value the same things we value?

(Attached: materials data)
~~~
Structure and calculated powder diffraction line list of HoScGe (the GGA-PBE geometry in Alexandria; Cu Kα (weighted mean of Kα1 and Kα2)).

Largest 10 diffraction maxima, in order of rising 2θ, 10 to 80 degrees two-theta:
Position (°2θ), Rel. int.
11.46, 18
22.11, 17
23.09, 18
26.72, 28
29.16, 13
38.15, 100
45.07, 9
55.05, 17
68.83, 8
68.99, 25

```
HoScGe
1.0
2.3568 1.3607 7.7185
-2.3568 1.3607 7.7185
0.0000 -2.7214 7.7185
Ho Sc Ge
2 2 2
direct
0.1231 0.1231 0.1231
0.8769 0.8769 0.8769
0.3730 0.3730 0.3730
0.6270 0.6270 0.6270
0.2536 0.2536 0.2536
0.7464 0.7464 0.7464
```
~~~
(Here the article continues)

  2. Understand context. Too often, I hear people getting upset over things that are taken completely out of context, for example, books, movies, or songs that now are considered racist or sexist. Understanding context means that we understand the concepts and language used in them was common for the time in which they were written. Does it make those concepts or language right, now or then? Nope. But it does give us a teaching opportunity. Rather than trying to ban them, talk about them.

  3. Ask yourself: “Is it true, or is it just true for me?” There is a difference between actual truth and personal truth. Personal truth comes from our experiences, which may or may not align with actual truth. It’s human nature to unconsciously assume, “If it’s true for me, then it’s true for everyone,” but that’s definitely not the case. It’s important to remember that we all have different experiences that lead to our different perspectives.

  4. Widen your circle. This can help a lot with answering the question to #3. We tend to hang out with people who are just like us, so we have more data to discern that there are both “good” and “bad” people in our group. When something bad happens with somebody outside of our usual circle, and that is the only interaction we’ve had with someone from “that other” group, we tend to all of a sudden look at the entire group as “bad,” which simply isn’t true. Instead, it’s our data that is limited.

  5. Practice a better response. Instead of getting angry when you see a behavior that is different from yours or hear something that you would deem “offensive,” a simple, “Can you help me understand?” can diffuse conflict and be the initial step towards learning and resolution.

When we build our discernment skills, we build inclusion because we not only learn other perspectives, we learn more about ourselves, too. We start to recognize that we don’t have to agree with someone else’s perspective to understand them. And guess what? We can both be right.

(Misplaced calculated crystals)
Starting from a cell relaxed with PBE+U, the XRD peak list of Sr2EuFeO5 was calculated for Cu Ka.
No peak broadening, texture or thermal motion is included.

The 10 most intense peaks (5 to 70 degrees two-theta), low angle first:
| 2θ/deg | d_spacing | I_rel | index |
| --- | --- | --- | --- |
| 30.4 | 2.942 | 55 | 1 3 1 |
| 30.6 | 2.926 | 100 | 2 2 2 |
| 31.2 | 2.867 | 38 | 0 0 4 |
| 37.8 | 2.381 | 74 | 1 3 3 |
| 42.0 | 2.151 | 20 | 4 2 0 |
| 49.5 | 1.842 | 21 | 4 0 4 |
| 49.8 | 1.832 | 24 | 1 3 5 |
| 55.1 | 1.666 | 21 | 2 2 6 |
| 56.3 | 1.633 | 17 | 5 3 1 |
| 61.2 | 1.515 | 19 | 3 5 3 |

Cell and atoms:
```
data_Sr2EuFeO5
_chemical_formula_sum 'Sr16 Eu8 Fe8 O40'
_symmetry_space_group_name_H-M 'F m m m'
_symmetry_Int_Tables_number 69
_symmetry_space_group_name_Hall '-F 2 2'
_cell_length_a 9.6063
_cell_length_b 9.6372
_cell_length_c 11.4695
_cell_angle_alpha 90.00
_cell_angle_beta 90.00
_cell_angle_gamma 90.00
loop_
_atom_site_label
_atom_site_fract_x
_atom_site_fract_y
_atom_site_fract_z
_atom_site_occupancy
Sr1 0.1716 0.0000 0.0000 1
Sr2 0.2500 0.2500 0.2500 1
Eu1 0.0000 0.1784 0.5000 1
Fe1 0.0000 0.0000 0.2484 1
O1 0.0000 0.1526 0.1434 1
O2 0.1447 0.0000 0.3581 1
O3 0.2500 0.2500 0.0000 1
```

* * * * *

Diffraction record for ZrVI6. The powder diffraction line list is computed, not measured: it uses the GGA-PBE geometry in Alexandria and λ = 1.5418 Å (Cu Kα).
Peak positions follow from Bragg's law for the DFT cell and can differ from measured ones.

Atomic structure:
Cell lengths 6.9891, 14.1784, 6.9935 Å; angles 90.00, 109.72, 90.00 degrees
Space group C2/m (No. 12)
One atom of each set of equivalent atoms:
Zr1 0.0000 0.0000 0.0000 x2
V1 0.0000 0.5000 0.5000 x2
I1 0.2432 0.3562 0.7444 x8
I2 0.2485 0.0000 0.7507 x4

Largest 8 diffraction maxima, in order of rising 2θ, 15° ≤ 2θ ≤ 90°:
two_theta, I/Imax, index
16.72, 23, 1 1 -1
24.44, 68, 1 3 -1
27.10, 61, 2 0 0
29.15, 100, 1 3 1
31.29, 46, 2 0 -2
38.08, 17, 0 6 0
43.29, 67, 1 3 -3
55.88, 17, 0 0 4

* * * * *

Record 1
Computed X-ray diffraction stick pattern
Compound: LiVPO5
Radiation: Cu Kα X-rays
Structure: DFT lattice parameters and positions (GGA+U)

Atomic structure:
Cell: 6.0615 7.3586 9.9500 Å, 90.00 90.00 90.00°
Space group P2_12_12_1 (No. 19)
Asymmetric unit:
Li 0.0670 0.0718 0.4403 (multiplicity 4)
V 0.0947 0.5478 0.5506 (multiplicity 4)
P 0.2041 0.3479 0.8280 (multiplicity 4)
O 0.0024 0.2232 0.8122 (multiplicity 4)
O 0.1033 0.7466 0.4068 (multiplicity 4)
O 0.1152 0.9133 0.9819 (multiplicity 4)
O 0.1557 0.5097 0.9268 (multiplicity 4)
O 0.2200 0.5837 0.1885 (multiplicity 4)

Largest 8 diffraction maxima, in order of rising 2θ, 2θ = 5–70°:
two_theta, Rel. int., h k l
14.97, 47, 0 1 1
17.13, 31, 1 0 1
17.83, 19, 0 0 2
18.97, 100, 1 1 0
20.98, 87, 1 1 1
29.79, 18, 1 2 1
30.21, 26, 0 2 2
39.52, 33, 1 2 3

***

Record 2
Computed X-ray diffraction stick pattern
Compound: Li7MnP4O14F
Radiation: Cu Kα X-rays
Structure: DFT lattice parameters and positions (GGA+U)

Atomic structure:


©2020 Susan McCuistion